What to do
Now transcribe only the lines further down with the word "results" in them.
Data
'''
DFT (wB97M-V/def2-TZVPD) results for a 15-piece molecular cluster, C54H144N6O30 overall at a distorted geometry.

The geometry in XYZ format:
```
234
Properties=species:S:1:pos:R:3:lowdin_charge:R:1
C -1.64 4.97 -8.99 -0.12
O -0.49 4.23 -9.34 -0.22
C -0.53 2.90 -8.91 -0.21
C 0.76 2.09 -9.43 -0.20
N 0.68 1.71 -10.82 -0.06
C 1.05 2.85 -11.63 -0.20
C 1.11 2.42 -13.11 -0.23
O 2.40 1.89 -13.38 -0.19
C 2.46 1.30 -14.68 -0.11
H -2.55 4.48 -9.31 0.08
H -1.69 5.99 -9.36 0.09
H -1.66 5.03 -7.90 0.08
H -1.50 2.45 -9.12 0.12
H -0.43 2.97 -7.83 0.11
H 0.84 1.19 -8.83 0.11
H 1.58 2.68 -9.01 0.11
H 1.36 0.99 -11.02 0.11
H 2.04 3.21 -11.37 0.12
H 0.38 3.69 -11.41 0.11
H 0.99 3.30 -13.73 0.11
H 0.30 1.78 -13.46 0.12
H 3.40 0.74 -14.67 0.08
H 2.50 2.01 -15.51 0.08
H 1.68 0.57 -14.88 0.08
C 3.45 -1.62 -3.53 -0.08
O 2.15 -1.94 -2.98 -0.21
C 1.43 -0.93 -2.29 -0.21
C 1.60 -1.19 -0.78 -0.26
N 0.81 -0.27 -0.02 -0.06
C 0.87 -0.70 1.43 -0.16
C -0.07 0.09 2.43 -0.21
O -1.41 -0.22 2.11 -0.22
C -2.44 0.70 2.58 -0.08
H 3.36 -0.92 -4.36 0.08
H 3.79 -2.53 -4.01 0.08
H 4.19 -1.40 -2.76 0.08
H 0.38 -1.00 -2.57 0.12
H 1.72 0.09 -2.55 0.12
H 2.59 -1.31 -0.35 0.12
H 1.20 -2.19 -0.63 0.11
H -0.14 -0.41 -0.33 0.10
H 1.86 -0.60 1.88 0.11
H 0.62 -1.76 1.57 0.11
H 0.10 1.17 2.47 0.11
H -0.02 -0.33 3.43 0.11
H -2.31 1.72 2.22 0.08
H -2.43 0.79 3.67 0.08
H -3.40 0.30 2.25 0.08
C 8.72 -5.09 -6.00 -0.08
O 9.50 -4.00 -5.42 -0.18
C 10.35 -4.48 -4.41 -0.27
C 11.01 -3.31 -3.73 -0.21
N 10.00 -2.53 -3.01 -0.07
C 10.55 -1.32 -2.38 -0.20
C 9.36 -0.60 -1.65 -0.16
O 8.48 -0.15 -2.73 -0.21
C 7.41 0.65 -2.34 -0.13
H 9.31 -5.98 -6.23 0.08
H 8.39 -4.73 -6.98 0.08
H 7.79 -5.35 -5.50 0.08
H 11.13 -5.12 -4.81 0.12
H 9.80 -5.12 -3.73 0.12
H 11.57 -2.68 -4.43 0.12
H 11.72 -3.65 -2.98 0.12
H 9.38 -2.15 -3.71 0.09
H 11.04 -0.65 -3.09 0.11
H 11.31 -1.64 -1.68 0.11
H 9.75 0.28 -1.13 0.11
H 8.86 -1.22 -0.91 0.12
H 6.79 0.82 -3.22 0.09
H 7.79 1.62 -1.99 0.08
H 6.78 0.21 -1.57 0.08
C 1.83 -1.75 9.21 -0.09
O 0.56 -1.26 9.70 -0.21
C 0.59 -0.06 10.39 -0.23
C -0.81 0.21 10.95 -0.22
N -1.10 -0.73 11.98 -0.06
C -2.53 -0.97 12.30 -0.16
C -3.45 -1.61 11.15 -0.17
O -2.85 -2.90 10.81 -0.22
C -2.84 -3.12 9.41 -0.13
H 2.41 -0.94 8.77 0.08
H 1.76 -2.51 8.44 0.08
H 2.49 -2.20 9.95 0.08
H 0.87 0.65 9.61 0.12
H 1.39 -0.12 11.13 0.13
H -1.55 0.25 10.15 0.11
H -0.92 1.21 11.38 0.12
H -0.83 -1.61 11.57 0.09
H -3.00 -0.02 12.54 0.10
H -2.66 -1.66 13.13 0.11
H -3.53 -0.96 10.28 0.10
H -4.45 -1.89 11.47 0.11
H -2.03 -2.57 8.92 0.08
H -3.80 -2.91 8.95 0.08
H -2.58 -4.17 9.30 0.09
C -7.92 1.86 8.14 -0.09
O -7.15 2.40 9.25 -0.18
C -7.91 3.36 10.00 -0.24
C -7.08 4.00 11.08 -0.21
N -6.05 4.81 10.44 -0.05
C -4.88 5.32 11.18 -0.18
C -3.81 5.69 10.16 -0.27
O -3.43 4.59 9.38 -0.20
C -2.55 4.99 8.31 -0.08
H -8.48 1.00 8.49 0.08
H -7.40 1.61 7.22 0.08
H -8.69 2.53 7.75 0.08
H -8.78 2.87 10.44 0.12
H -8.22 4.21 9.41 0.12
H -6.55 3.19 11.59 0.12
H -7.76 4.52 11.77 0.12
H -5.68 4.14 9.78 0.08
H -4.41 4.59 11.83 0.11
H -5.09 6.18 11.82 0.12
H -2.87 5.98 10.63 0.12
H -4.11 6.55 9.56 0.12
H -2.14 4.11 7.80 0.09
H -1.70 5.54 8.72 0.08
H -3.05 5.61 7.57 0.08
C -4.75 0.98 -1.24 -0.12
O -4.50 -0.38 -0.92 -0.20
C -5.44 -1.30 -1.50 -0.19
C -5.05 -2.78 -1.06 -0.19
N -5.11 -3.01 0.38 -0.06
C -6.51 -2.97 0.84 -0.19
C -7.46 -4.09 0.32 -0.23
O -8.37 -4.45 1.30 -0.19
C -8.04 -5.62 2.04 -0.11
H -4.49 1.22 -2.27 0.08
H -4.26 1.70 -0.58 0.08
H -5.81 1.22 -1.13 0.08
H -5.31 -1.21 -2.58 0.12
H -6.47 -1.11 -1.23 0.11
H -4.05 -3.02 -1.40 0.11
H -5.64 -3.51 -1.60 0.11
H -4.69 -2.19 0.78 0.09
H -6.92 -1.98 0.66 0.10
H -6.45 -3.13 1.91 0.11
H -6.94 -4.97 -0.07 0.12
H -8.09 -3.63 -0.44 0.12
H -7.09 -5.59 2.57 0.09
H -8.12 -6.48 1.38 0.09
H -8.70 -5.87 2.87 0.08
C 1.78 6.00 -0.45 -0.23
C 2.79 7.14 -0.19 -0.25
O 2.43 7.92 0.94 -0.06
O 1.94 4.93 0.52 -0.08
H 1.95 5.56 -1.44 0.11
H 0.78 6.43 -0.50 0.11
H 2.77 7.72 -1.11 0.11
H 3.80 6.75 -0.14 0.12
H 2.78 7.57 1.77 0.09
H 1.56 4.13 0.13 0.07
C 6.23 -6.00 -0.70 -0.24
C 5.32 -6.88 0.12 -0.27
'''
Response
DFT (wB97M-V/def2-TZVPD) results for a 15-piece molecular cluster, C54H144N6O30 overall at a distorted geometry.